rs2332 and vga

Records of crystals that have nothing to do with the article:
- - -
(1)
The following is a theoretical XRD peak list of LiFePO4. It was derived from the PBE+U geometry in the Materials Project, using Cu Kα.
Lines closer than 0.1° are merged.

Most intense lines, 10° ≤ 2θ ≤ 90°, low angle first:
hkl 0 1 1, 15.25°, d 5.808, intensity 100
hkl 1 1 0, 21.56°, d 4.121, intensity 53
hkl 0 1 2, 22.62°, d 3.931, intensity 38
hkl 1 1 1, 23.64°, d 3.764, intensity 72
hkl 1 1 2, 29.02°, d 3.077, intensity 32
hkl 1 2 1, 31.56°, d 2.835, intensity 63
hkl 2 0 0, 36.38°, d 2.470, intensity 41
hkl 0 0 4, 38.96°, d 2.312, intensity 42

Structure:
Unit cell a=4.9426 b=7.4642 c=9.2480 alpha=90.00 beta=90.00 gamma=90.00
Space group P2_12_12_1 (No. 19)
Unique sites:
Li1 0.0821 0.1303 0.4825 [4 per cell]
Fe1 0.1718 0.7315 0.6250 [4 per cell]
P1 0.1345 0.5022 0.3376 [4 per cell]
O1 0.1422 0.5091 0.1696 [4 per cell]
O2 0.1574 0.0143 0.1024 [4 per cell]
O3 0.2115 0.3315 0.9027 [4 per cell]
O4 0.2243 0.6770 0.8778 [4 per cell]


(2)
The following is a theoretical XRD peak list of LiFe2P3O12. It was derived from the PBE+U geometry in the Materials Project, using Cu Kα.
Lines closer than 0.1° are merged.

Most intense lines, 10° ≤ 2θ ≤ 90°, low angle first:
hkl 2 0 0, 14.24°, d 6.219, intensity 27
hkl 1 1 -1, 14.34°, d 6.175, intensity 28
hkl 2 0 -2, 20.13°, d 4.411, intensity 77
hkl 0 2 0, 20.46°, d 4.341, intensity 45
hkl 3 1 0, 23.79°, d 3.740, intensity 44
hkl 0 2 1, 23.92°, d 3.721, intensity 100
hkl 2 2 -2, 28.92°, d 3.088, intensity 48
hkl 3 1 -3, 32.18°, d 2.781, intensity 32

Structure:
Unit cell a=15.0621 b=8.6700 c=8.8010 alpha=90.00 beta=124.33 gamma=90.00
Space group Cc (No. 9)
Unique sites:
Li1 0.0000 0.1637 0.0000 [4 per cell]
Fe1 0.2021 0.2530 0.3854 [4 per cell]
Fe2 0.4058 0.2501 0.0238 [4 per cell]
P1 0.1621 0.1124 0.7050 [4 per cell]
P2 0.3041 0.4595 0.2076 [4 per cell]
P3 0.4429 0.1132 0.6925 [4 per cell]
O1 0.0435 0.3046 0.2245 [4 per cell]
O2 0.0625 0.1978 0.6704 [4 per cell]
O3 0.1430 0.0637 0.2047 [4 per cell]
O4 0.1788 0.1347 0.5494 [4 per cell]
O5 0.2168 0.3612 0.2033 [4 per cell]
O6 0.2405 0.4403 0.5347 [4 per cell]
O7 0.2562 0.1749 0.8908 [4 per cell]
O8 0.3506 0.1798 0.5054 [4 per cell]
O9 0.3725 0.4490 0.8899 [4 per cell]
O10 0.3901 0.3546 0.2134 [4 per cell]
O11 0.4266 0.1391 0.8476 [4 per cell]
O12 0.4545 0.0626 0.1869 [4 per cell]


(3)
The following is a theoretical XRD peak list of Li2FeP2O7. It was derived from the PBE+U geometry in the Materials Project, using Cu Kα.
Lines closer than 0.1° are merged.

Most intense lines, 10° ≤ 2θ ≤ 90°, low angle first:
hkl 0 2 0, 13.75°, d 6.442, intensity 100
hkl 2 0 0, 22.39°, d 3.970, intensity 87
hkl 2 2 0, 26.37°, d 3.380, intensity 70
hkl 2 0 -2, 27.21°, d 3.278, intensity 58
hkl 2 0 2, 27.90°, d 3.198, intensity 51
hkl 1 3 -2, 28.35°, d 3.148, intensity 70
hkl 1 3 2, 28.68°, d 3.112, intensity 63
hkl 1 5 2, 40.32°, d 2.237, intensity 43

Structure:
Unit cell a=7.9432 b=12.8845 c=11.1856 alpha=90.00 beta=91.49 gamma=90.00
Space group C2/c (No. 15)
Unique sites:
- - -
Can someone point me in the right direction. ·I am trying to interface a Garmin pc18 OEM GPS. I am new to this and need to learn about printing to vga_text from serial_fullduplex and also how to build and parse strings. Thanks for any help. Dave
D Rat
D Rat
Martin Hebel
StampPlot - Graphical Data Acquisition and Control
AppBee -·2.4GHz Wireless Adapters & transceivers·for the BASIC Stamp & Other controllers·
D Rat
I think later this evening I am going to make some modifications to my Extended_FullDuplexSpin to allow accepting values with different delimiters.
If you can post a sample string I could test with, I can test it some.
Martin Hebel
StampPlot - Graphical Data Acquisition and Control
AppBee -·2.4GHz Wireless Adapters & transceivers·for the BASIC Stamp & Other controllers·
D Rat
Martin Hebel
StampPlot - Graphical Data Acquisition and Control
AppBee -·2.4GHz Wireless Adapters & transceivers·for the BASIC Stamp & Other controllers·
D Rat
- Parsing based on defined delimiters
- Returning from a string the integer or whole value ("-123.456") returns -123
- Returning from a string the fractional value ("-123.456") returns 456
I though about trying to incorporate the floating point library, but with an AND or two, values can be checked, and these values can be used to pass to the floating point if need be.
Anyway, back to the question at hand. The following code accepts a string you defined, parses it into a bunch of strings, and from there you can do as you like with the values.
Attached is the test file and the library objects required. Hope this helps!
Martin Hebel
StampPlot - Graphical Data Acquisition and Control
AppBee -·2.4GHz Wireless Adapters & transceivers·for the BASIC Stamp & Other controllers·
Martin Hebel
StampPlot - Graphical Data Acquisition and Control
AppBee -·2.4GHz Wireless Adapters & transceivers·for the BASIC Stamp & Other controllers·
be aware that the sentence can be different depending on mode with some recievers.
I'm not sure about your OEM version.
also, fwiw, NMEA standard is 4800,8,n,1
D Rat
Thanx ahead of time. Dave.
P.S. I am thinking of getting the AppleBee modules for my BoeBot.
D Rat
Thanks for the input. The routine is flexible enough so that you don't have to collect all the data, and if you ask for too much, it will timeout. Also, the Baud rate is easily adjusted. This object was written to be generic, and I've been meaning to modify the original, and D Rat's need was just a really good one to test with.
Good luck D.,
Martin Hebel
StampPlot - Graphical Data Acquisition and Control
AppBee -·2.4GHz Wireless Adapters & transceivers·for the BASIC Stamp & Other controllers·
I'll let someone else take it from here for these [noparse]:)[/noparse]
The AppBee/XBee's are cool. I'm with my students right now and we are working on a StampPlot based control panel to control up to 3 at once, manually or switch to autonomous.
Martin Hebel
StampPlot - Graphical Data Acquisition and Control
AppBee -·2.4GHz Wireless Adapters & transceivers·for the BASIC Stamp & Other controllers·
D Rat
I have found most applications for text using the TV can easily be converted to VGA simply by changing the Object declarations. There was a demo program that echoed keyboard input to a screen (in hex), I simply changed the Object from TV_Text to VGA_Text, and it worked without changing any other lines of code (except the Start routine, you need to change the basepin)
All of the routines in the Objects are identical in name and function.
Brian Meade
"They who dream by day are cognizant of many things which escape those who dream only by night" - Edgar Poe